Work order:
Work out how many lines underneath have the word "wB97M-V" in them; a number is enough.

Contents:
/*
42
Properties=species:S:1:pos:R:3:forces:R:3:lowdin_charge:R:1 method="wB97M-V/def2-TZVPD" e_homo_ev=-12.1 total_charge=+1
C -1.31948 0.16900 1.58431 -0.60 -0.57 -0.47 -0.034
C -0.16751 0.63048 0.68754 0.35 2.59 4.09 -0.054
C 1.21130 0.49523 1.25616 -0.11 -0.95 -0.76 -0.122
C 2.10299 1.58160 1.47382 0.68 0.50 -0.78 -0.185
C 1.65878 3.01418 1.50548 0.01 0.46 -0.11 -0.034
C 3.47012 1.34774 1.67415 -0.55 -0.13 0.23 0.012
C 3.97928 0.05250 1.77625 0.00 -0.14 -0.15 -0.230
C 5.46064 -0.20146 1.89691 0.17 -0.13 0.08 -0.031
C 3.06802 -1.00782 1.76962 -0.14 0.11 0.15 0.014
C 1.70346 -0.79991 1.55923 0.61 -0.22 -0.19 -0.191
C 0.81455 -1.99602 1.61283 -0.08 -0.54 -0.11 -0.024
H -2.07598 0.95279 1.68964 0.20 0.01 -0.33 0.104
H -1.82200 -0.68512 1.13986 -0.18 -0.07 0.22 0.071
H -1.04154 -0.11789 2.60255 0.49 0.09 -0.38 0.099
H -0.35948 1.67534 0.41285 0.21 -0.51 -0.51 0.124
H 2.53139 3.67157 1.62773 -0.33 -0.21 -0.07 0.089
H 1.14782 3.32998 0.59094 -0.04 -0.04 0.05 0.084
H 0.98936 3.21352 2.35199 0.07 -0.13 -0.17 0.100
H 4.16452 2.19035 1.75881 -0.41 -0.23 0.03 0.133
H 5.65735 -1.28380 1.93050 0.01 0.42 -0.02 0.084
H 6.01932 0.22838 1.04519 -0.33 -0.15 0.35 0.099
H 5.87329 0.24862 2.81734 -0.22 -0.14 -0.36 0.098
H 3.44315 -2.02764 1.91644 -0.24 0.42 -0.03 0.128
H 1.42002 -2.90237 1.68432 -0.14 0.09 -0.03 0.093
H 0.15765 -1.97414 2.48640 0.07 0.03 -0.07 0.096
H 0.18780 -2.09535 0.72708 -0.07 -0.03 -0.03 0.069
C -5.32248 -1.31412 -3.87746 0.01 -0.08 0.08 -0.050
O -4.38082 -0.24127 -3.82483 0.93 0.32 0.60 -0.072
C -3.30959 -0.24684 -2.98703 -0.32 -0.14 0.05 -0.241
C -2.50638 0.92093 -2.99503 -0.03 -0.92 0.05 0.029
C -1.38466 0.99829 -2.17364 0.28 1.00 0.15 -0.040
C -1.04857 -0.02272 -1.28501 -1.27 -0.49 -1.16 -0.084
C -1.82683 -1.17579 -1.31426 0.00 -0.86 0.82 -0.061
C -2.96360 -1.31277 -2.12697 0.46 0.60 -0.27 0.021
H -6.09058 -0.94983 -4.56229 0.09 -0.20 0.17 0.101
H -4.87450 -2.22894 -4.28253 0.02 0.18 0.08 0.101
H -5.76830 -1.52004 -2.89571 0.13 0.12 -0.16 0.100
H -2.79243 1.71305 -3.68605 0.28 -0.11 0.25 0.134
H -0.76811 1.89352 -2.24431 -0.17 -0.08 0.14 0.125
H -0.13577 0.03332 -0.53779 0.11 -0.55 -1.19 0.112
H -1.54716 -2.02714 -0.67458 -0.30 0.43 -0.28 0.117
H -3.55505 -2.22940 -2.11044 0.32 0.26 0.04 0.120

---

86
Properties=species:S:1:pos:R:3:forces:R:3:lowdin_charge:R:1 method="wB97M-V/def2-TZVPD" e_homo_ev=-6.9 total_charge=-1
N 8.40977 17.88287 2.62755 -1.47 -0.05 -0.63 0.363
H 8.73061 18.82962 2.77185 0.41 0.35 0.36 0.164
H 8.80657 17.18569 3.24120 0.75 -0.25 0.13 0.166
H 8.40533 17.66350 1.64166 1.20 -0.42 -0.60 0.152
H 7.40777 17.83599 2.74548 -0.77 0.40 0.95 0.154
O 11.91410 21.50259 12.96075 0.27 0.14 0.32 0.146
C 11.18629 20.78216 12.35002 0.13 0.18 0.70 -0.406
O 11.31272 20.45126 11.08540 -0.63 -0.79 -0.67 0.241
B 10.09443 19.68451 10.70814 0.81 -0.14 -0.99 -0.860
O 9.36196 19.48463 11.92121 -1.17 -2.34 -0.65 0.269
C 9.85939 20.15984 12.88000 0.07 2.74 1.81 -0.408
O 9.28108 20.51821 13.88319 0.73 -0.83 -0.33 0.127
O 9.22285 20.42063 9.82814 -1.04 0.44 -1.60 0.221
C 8.96594 19.78638 8.65657 0.66 3.40 0.33 -0.314
O 8.34893 20.32826 7.74144 1.02 -2.03 1.58 0.089
C 9.82091 18.52140 8.79442 -2.80 -2.53 -3.84 -0.465
O 10.40651 18.42705 9.89634 1.34 1.22 3.20 0.265
O 9.71018 17.62215 7.97612 0.51 0.56 -0.06 0.096
O 15.79180 13.87525 6.51062 0.05 3.92 -2.64 0.075
C 15.70995 14.96340 5.86481 -0.43 -4.86 3.07 -0.332
O 14.63512 15.73893 5.92828 0.98 0.69 -1.05 0.234
B 14.96354 16.95856 5.15511 0.53 0.82 -0.47 -0.870
O 16.35496 16.83098 4.68313 0.76 -2.87 -0.05 0.192
C 16.80881 15.56242 4.97781 2.14 1.67 -0.91 -0.311
O 17.91966 15.12335 4.66761 -3.21 0.80 0.86 0.106
O 14.99575 18.19467 5.94339 -1.47 1.81 -0.35 0.208
C 14.32437 19.20032 5.32443 -0.90 1.76 2.46 -0.284
O 14.08954 20.34826 5.79397 1.16 -4.48 -2.25 0.081
C 13.73564 18.54229 4.01742 -0.67 0.66 -2.24 -0.352
O 14.07581 17.24554 3.96110 -0.17 1.13 1.30 0.192
O 13.10888 19.12197 3.12239 1.06 -1.11 2.12 0.063
C 12.59023 11.03067 1.51165 -1.60 -1.36 0.94 -0.121
*/

Done:
2